WooCommerce | Learn Who Your Demographic Is and How to Target Them

Who is your typical WooCommerce customer? The answer to this question can determine many different things. It can decide what sort of products you sell, which brands receive the biggest discounts, and even what social media networks you use most often. You can learn about your target demographic through the careful monitoring of your analytics. Once you have identified who you are selling to, you have many more ways to connect with them personally and form a relationship.

Think about Your Products

To determine who your demographic is, you first need to analyze the products you offer and determine who they benefit. What needs do you fulfill? To what age range do your brands advertise? Given that most visitors to your store likely consider your product a luxury purchase, how often are they spending money and how much income do they consider disposable? Certain industries make it very easy to identify target demographics based on their products. For example, if you sell fashionable women’s clothing in your WooCommerce store, you already know the gender and approximate age range of the customers you are targeting. Even if your industry doesn’t make it as obvious, you can still analyze the needs your products fill and determine who is most likely to go looking for those items.

_Calculated crystals from another source follow_
No. 1
# TbPS4
Theoretical XRD peak list, Cu Kα X-rays. Input: DFT lattice parameters and positions (PBE).

```
data_TbPS4
_cell_length_a 10.835
_cell_length_b 10.835
_cell_length_c 19.118
_cell_angle_alpha 90.00
_cell_angle_beta 90.00
_cell_angle_gamma 90.00
_space_group_name_H-M_alt 'I 41/a c d'
_space_group_IT_number 142
loop_
_space_group_symop_operation_xyz
'x,y,z'
'-x,-y,-z'
'-y+1/4,x+3/4,z+1/4'
'y+1/4,-x+3/4,-z+1/4'
'-x+1/2,-y,z+1/2'
'x+1/2,y,-z+1/2'
'y+1/4,-x+1/4,z+3/4'
'-y+1/4,x+1/4,-z+3/4'
'x,-y,-z+1/2'
'-x,y,z+1/2'
'-y+1/4,-x+1/4,-z+1/4'
'y+1/4,x+1/4,z+1/4'
'-x+1/2,y,-z'
'x+1/2,-y,z'
'y+1/4,x+3/4,-z+3/4'
'-y+1/4,-x+3/4,z+3/4'
'x+1/2,y+1/2,z+1/2'
'-x+1/2,-y+1/2,-z+1/2'
'-y+3/4,x+1/4,z+3/4'
'y+3/4,-x+1/4,-z+3/4'
'-x,-y+1/2,z'
'x,y+1/2,-z'
'y+3/4,-x+3/4,z+1/4'
'-y+3/4,x+3/4,-z+1/4'
'x+1/2,-y+1/2,-z'
'-x+1/2,y+1/2,z'
'-y+3/4,-x+3/4,-z+3/4'
'y+3/4,x+3/4,z+3/4'
'-x,y+1/2,-z+1/2'
'x,-y+1/2,z+1/2'
'y+3/4,x+1/4,-z+1/4'
'-y+3/4,-x+1/4,z+1/4'
loop_
_atom_site_label
_atom_site_fract_x
_atom_site_fract_y
_atom_site_fract_z
Tb1 0.000 0.250 0.125
Tb2 0.000 0.250 0.375
P1 0.038 0.000 0.250
S1 0.064 0.003 0.840
S2 0.088 0.114 0.003
```

Principal peaks in the range 2θ = 10–90°, by angle:
| 2theta | d_spacing | I (rel.) | hkl |
| --- | --- | --- | --- |
| 16.36 | 5.418 | 100 | 2 0 0 |
| 24.84 | 3.584 | 62 | 2 0 4 |
| 29.89 | 2.989 | 50 | 2 2 4 |
| 33.07 | 2.709 | 19 | 4 0 0 |
| 37.11 | 2.423 | 33 | 4 2 0 |
| 38.19 | 2.357 | 42 | 4 0 4 |
| 41.29 | 2.186 | 23 | 2 0 8 |
| 41.80 | 2.161 | 52 | 4 2 4 |

***

No. 2
# Tb8Te3P3S
Theoretical XRD peak list, Cu Kα X-rays. Input: DFT lattice parameters and positions (PBE).

```
data_Tb8Te3P3S
_cell_length_a 8.1572
_cell_length_b 8.1572
_cell_length_c 21.0635
_cell_angle_alpha 90.00
_cell_angle_beta 90.00
_cell_angle_gamma 120.00
_space_group_name_H-M_alt 'R -3 m'
_space_group_IT_number 166
_space_group_name_Hall '-R 3 2"'
loop_
_atom_site_label
_atom_site_fract_x
_atom_site_fract_y
_atom_site_fract_z
Tb1 0.0000 0.0000 0.2360
Tb2 0.0048 0.5024 0.7620
Te1 0.0000 0.5000 0.0000
P1 0.0000 0.5000 0.5000
S1 0.0000 0.0000 0.5000
```

Principal peaks in the range 2θ = 10–90°, by angle:
| 2theta | d_spacing | I (rel.) | hkl |
| --- | --- | --- | --- |
| 26.62 | 3.349 | 27 | 2 0 2 |
| 30.47 | 2.933 | 100 | 0 2 4 |
| 33.10 | 2.707 | 15 | 2 0 5 |
| 42.84 | 2.111 | 31 | 2 0 8 |
| 44.42 | 2.039 | 38 | 2 2 0 |
| 54.83 | 1.674 | 19 | 4 0 4 |
| 60.19 | 1.538 | 11 | 2 2 9 |
| 73.13 | 1.294 | 16 | 2 4 4 |

***

No. 3
# Tb6TlP3S2
Theoretical XRD peak list, Cu Kα X-rays. Input: DFT lattice parameters and positions (PBE).

```
data_Tb6TlP3S2
_cell_length_a 17.689
_cell_length_b 4.009
_cell_length_c 8.224
_cell_angle_alpha 90.00
_cell_angle_beta 102.87
_cell_angle_gamma 90.00
_space_group_name_H-M_alt 'C 1 2/m 1'
_space_group_IT_number 12
loop_
_space_group_symop_operation_xyz
'x,y,z'
'-x,-y,-z'
'-x,y,-z'
'x,-y,z'
'x+1/2,y+1/2,z'
'-x+1/2,-y+1/2,-z'
'-x+1/2,y+1/2,-z'
'x+1/2,-y+1/2,z'
loop_
_atom_site_label
_atom_site_fract_x
_Back to the article_

Find Out where Your Customers Are

Use the analytic tools available to you to figure out where in the world your customers are physically. This gives you two valuable pieces of information. First, it helps you to determine the most pressing issue that your customers face. If most of your visitors come from the American southwest, for example, warm winter coats are probably not something you need to stock up on. Knowing where your customers live can also help you determine the best WooCommerce SEO route to take with reaching out to them. This becomes especially true if a large portion of your base lives in the same region. If that is the case, it makes regional advertising very easy and allows you to speak specifically to issues that people in that area face.

Allow Readers to Customize their Profiles

By providing the ability to customize profiles with optional information that showcases their personalities, you can gain a greater understanding of your readers and WooCommerce customers as a whole. After a reader creates an account, allow them to customize their customer profile as they wish. Include the option to upload an avatar, create a bio, and provide a list of interests. This gets your readers engaged in your site and makes them more likely to return. It also provides you with a broader understanding of who they are. Some information, like age and gender, can be broken out statistically. Other data, like general interests, can be used to help fill in context about your potential customer base.

Target Specific Areas of Need

<<<
Entry 1:
# TmZrMn2O6
Simulated powder diffractogram, Cu Kα (weighted mean of Kα1 and Kα2). Input: a structure optimized by DFT (GGA+U).
Peak positions follow from Bragg's law for the DFT cell and can differ from measured ones.

Principal peaks in the range 10 to 90 degrees two-theta, low angle first:
two_theta	d [Å]	I/Imax
22.6	3.930	983
31.1	2.876	1000
31.3	2.861	497
33.2	2.698	877
33.3	2.690	432
46.2	1.967	395
50.5	1.806	463
58.0	1.590	372

Cell and atoms:
abc: 5.3796 5.3909 5.7478
angles: 62.36 62.42 60.19
Fractional coordinates of all 10 atoms:
1 Tm 0.0000 0.0000 0.0000
2 Zr 0.5067 0.5114 0.4689
3 Mn 0.2058 0.2060 0.3825
4 Mn 0.7209 0.7213 0.8346
5 O 0.1191 0.8217 0.6486
6 O 0.3237 0.5731 0.1718
7 O 0.4071 0.1208 0.6507
8 O 0.5723 0.9307 0.1763
9 O 0.8215 0.4085 0.6483
10 O 0.9283 0.3238 0.1754

Entry 2:
# MnV4O12
Simulated powder diffractogram, Cu Kα (weighted mean of Kα1 and Kα2). Input: a structure optimized by DFT (GGA+U).
Peak positions follow from Bragg's law for the DFT cell and can differ from measured ones.

Principal peaks in the range 10 to 90 degrees two-theta, low angle first:
two_theta	d [Å]	I/Imax
24.1	3.700	986
24.5	3.634	1000
24.8	3.584	989
33.0	2.713	548
33.7	2.658	477
33.9	2.644	431
41.2	2.191	503
54.3	1.689	439

Cell and atoms:
abc: 4.9380 5.3206 7.4457
angles: 83.73 88.98 89.10
Fractional coordinates of all 17 atoms:
1 Mn 0.0000 0.0000 0.0000
2 V 0.0145 0.6014 0.7801
3 V 0.4730 0.1059 0.2863
4 V 0.5174 0.1308 0.7737
5 V 0.9793 0.5939 0.3076
6 O 0.1106 0.6679 0.0667
7 O 0.1982 0.3447 0.3601
8 O 0.1984 0.9516 0.7778
9 O 0.3142 0.8466 0.3709
10 O 0.3213 0.4499 0.7544
11 O 0.3381 0.1422 0.0641
12 O 0.6085 0.1271 0.5605
13 O 0.6941 0.4466 0.2663
14 O 0.7196 0.8512 0.8768
15 O 0.8121 0.9657 0.2277
16 O 0.8273 0.3137 0.8765
17 O 0.8950 0.6458 0.5668

Entry 3:
# Mn3V2O8
Simulated powder diffractogram, Cu Kα (weighted mean of Kα1 and Kα2). Input: a structure optimized by DFT (GGA+U).
Peak positions follow from Bragg's law for the DFT cell and can differ from measured ones.

Principal peaks in the range 10 to 90 degrees two-theta, low angle first:
two_theta	d [Å]	I/Imax
25.6	3.479	161
28.4	3.140	190
30.9	2.895	1000
35.7	2.514	87
36.0	2.493	87
51.4	1.777	148
51.7	1.769	245
61.2	1.515	125

Cell and atoms:
abc: 11.1684 11.1684 11.1684
angles: 142.88 142.88 53.50
Fractional coordinates of all 39 atoms:
1 Mn 0.0000 0.0000 0.0000
2 Mn 0.0241 0.5241 0.5000
3 Mn 0.1333 0.1287 0.5148
4 Mn 0.2718 0.2718 0.0000
5 Mn 0.3814 0.8667 0.9954
6 Mn 0.4759 0.9759 0.5000
7 Mn 0.6139 0.6186 0.4852
8 Mn 0.7282 0.7282 0.0000
9 Mn 0.8713 0.3861 0.0046
10 V 0.0295 0.6297 0.9065
11 V 0.2500 0.7500 0.5000
12 V 0.3703 0.2768 0.3999
13 V 0.5000 0.5000 0.0000
14 V 0.7232 0.1231 0.0935
15 V 0.8769 0.9705 0.6001
16 O 0.0585 0.8254 0.6845
17 O 0.1307 0.4048 0.8267
18 O 0.1409 0.3740 0.3155
19 O 0.1746 0.8591 0.2331
20 O 0.2452 0.0010 0.6569
21 O 0.3286 0.0506 0.2740
22 O 0.3391 0.5994 0.8494
23 O 0.3441 0.5883 0.3431
24 O 0.3853 0.1857 0.1952
>>>

Once you identify your demographic, then it’s time to target them with your marketing. The best way to do this is to consider what the specific needs of that demographic are. For example, men and women in their late 20s or early 30s likely have children or are considering starting a family. Solutions that make their lives as potential parents easier are likely to garner a lot of interest from them. Additionally, people in that demographic probably want household items which are child safe. If you sell products in your WooCommerce shop that use safety or non-toxic ingredients as a selling point, highlighting those aspects in your marketing will likely create more conversions from that target audience.

Tailor Content to Your Target Demographic

Once you know who you are targeting, you can cater your content to that demographic. It’s important to note, however, that this doesn’t require you to ignore other markets. You can create content that caters to one audience without excluding others. The goal in demographic targeting should be to focus not on what makes the demographics different than others but to provide useful content that is relevant to where their interests lie. Identify what interests your audience has, even if it means looking through social networks to determine what gets their attention. From there, you can cater a portion of your blogs and newsletters to those interests, drawing in the audience and introducing them to your many useful products and services.

**Between two parts of the page: calculated crystals:**
- - -
(1)
For Pr4Se3O10F6, a PBE-relaxed structure gives the computed PXRD pattern in this record (Cu Ka).

Top 10 peaks for 10 to 90 degrees two-theta, low angle first:
2θ (°), d/Å, I/Imax
25.2, 3.530, 97
27.7, 3.224, 40
28.3, 3.153, 100
29.4, 3.036, 97
31.5, 2.839, 59
36.0, 2.494, 28
45.7, 1.986, 43
46.0, 1.972, 60
46.4, 1.957, 32
51.9, 1.763, 39

abc: 11.526 11.526 8.291
angles: 97.99 97.99 35.61
Element x y z (fractional)
Pr1 0.045 0.212 0.032
Pr2 0.212 0.045 0.532
Pr3 0.216 0.363 0.328
Pr4 0.363 0.216 0.828
Pr5 0.637 0.784 0.172
Pr6 0.784 0.637 0.672
Pr7 0.788 0.955 0.468
Pr8 0.955 0.788 0.968
Se1 0.116 0.884 0.250
Se2 0.338 0.487 0.633
Se3 0.487 0.338 0.133
Se4 0.513 0.662 0.867
Se5 0.662 0.513 0.367
Se6 0.884 0.116 0.750
O1 0.041 0.084 0.250
O2 0.084 0.041 0.750
O3 0.140 0.612 0.492
O4 0.220 0.747 0.076
O5 0.250 0.466 0.102
O6 0.252 0.526 0.813
O7 0.253 0.780 0.424
O8 0.388 0.860 0.008
O9 0.466 0.250 0.602
O10 0.474 0.748 0.687
O11 0.526 0.252 0.313
O12 0.534 0.750 0.398
O13 0.612 0.140 0.992
O14 0.747 0.220 0.576
O15 0.748 0.474 0.187
O16 0.750 0.534 0.898
O17 0.780 0.253 0.924
O18 0.860 0.388 0.508
O19 0.916 0.959 0.250
O20 0.959 0.916 0.750
F1 0.023 0.532 0.869
F2 0.144 0.348 0.579
F3 0.145 0.215 0.798
F4 0.215 0.145 0.298
F5 0.348 0.144 0.079
F6 0.468 0.977 0.631
F7 0.532 0.023 0.369
F8 0.652 0.856 0.921
F9 0.785 0.855 0.702
F10 0.855 0.785 0.202
F11 0.856 0.652 0.421
F12 0.977 0.468 0.131

***

(2)
For K2Rb2Sn2Au7, a PBE-relaxed structure gives the computed PXRD pattern in this record (Cu Ka).

Top 10 peaks for 10 to 90 degrees two-theta, low angle first:
2θ (°), d/Å, I/Imax
15.1, 5.869, 26
16.0, 5.552, 100
18.0, 4.939, 42
28.3, 3.150, 35
30.5, 2.935, 34
31.6, 2.832, 32
32.2, 2.776, 74
42.8, 2.114, 32
46.4, 1.956, 21
53.0, 1.728, 32

abc: 10.653 10.653 10.653
angles: 37.87 37.87 37.87
Element x y z (fractional)
K1 0.183 0.183 0.183
K2 0.817 0.817 0.817
Rb1 0.312 0.312 0.312
Rb2 0.688 0.688 0.688
Sn1 0.050 0.050 0.050
Sn2 0.950 0.950 0.950
Au1 0.287 0.287 0.697
Au2 0.287 0.697 0.287
Au3 0.303 0.713 0.713
Au4 0.500 0.500 0.500
Au5 0.697 0.287 0.287
Au6 0.713 0.303 0.713
Au7 0.713 0.713 0.303

***

(3)
For TbZnAg4, a PBE-relaxed structure gives the computed PXRD pattern in this record (Cu Ka).

Top 10 peaks for 10 to 90 degrees two-theta, low angle first:
2θ (°), d/Å, I/Imax
19.6, 4.524, 9
22.7, 3.918, 5
32.3, 2.770, 27
38.1, 2.363, 100
39.9, 2.262, 40
57.6, 1.600, 10
61.5, 1.508, 31
67.6, 1.385, 26
- - -
**The page goes on:**

Knowing your demographic takes some research, but that knowledge is absolutely invaluable for your WooCommerce store. Once you know who your most likely customers are, you can expand your base by catering specifically to that audience. Doing so opens up a great deal of new traffic and increases your conversion rate at the same time.